# To do
Echo all of the material underneath verbatim, please.

# Given
'''
Density functional theory data (PBE) for a relaxed Cs2LiPrF6 crystal.

Cell: 6.443 6.443 6.443 Å, 60.00 60.00 60.00°
Atoms (fractional coordinates):
Cs1 0.750 0.750 0.750
Cs2 0.250 0.250 0.250
Li1 0.500 0.500 0.500
Pr1 0.000 0.000 0.000
F1 0.745 0.255 0.255
F2 0.255 0.255 0.745
F3 0.255 0.745 0.745
F4 0.255 0.745 0.255
F5 0.745 0.255 0.745
F6 0.745 0.745 0.255

Computed properties:
VASP energy = -52.3 eV per cell
Energy relative to the elements = -3.512 eV/atom

=====

No. 1
! Ca8P6H12O29 | Materials Project | PBE | relaxed; values from VASP
! * crystal system: triclinic
! * size of the total moment: 0.001 μB per cell
! * final energy: -6.491 eV per atom
! * SG: P-1 (2)
! * E_form: -2.622 eV/atom
&SYSTEM
  ibrav = 0, nat = 110, ntyp = 4
/
ATOMIC_SPECIES
Ca 40.08 Ca.upf
P 30.97 P.upf
H 1.01 H.upf
O 16.00 O.upf
CELL_PARAMETERS angstrom
6.879 0.000 0.000
0.020 9.666 0.000
0.890 3.197 18.940
ATOMIC_POSITIONS angstrom
Ca 0.418 3.900 8.130
Ca 0.339 5.562 2.535
Ca 2.176 6.714 13.315
Ca 2.194 2.850 11.641
Ca 2.169 7.553 7.421
Ca 2.108 1.776 5.315
Ca 4.071 9.307 16.434
Ca 3.921 8.827 10.828
Ca 3.868 4.037 8.112
Ca 3.718 3.556 2.506
Ca 5.682 11.088 13.624
Ca 5.620 5.311 11.518
Ca 5.595 10.013 7.299
Ca 5.613 6.150 5.625
Ca 7.450 7.301 16.405
Ca 7.371 8.963 10.810
P 2.195 9.831 13.919
P 2.476 6.905 18.787
P 2.156 5.642 10.286
P 2.192 10.950 8.405
P 2.493 4.259 15.134
P 2.170 5.115 5.545
P 5.619 7.749 13.395
P 5.296 8.604 3.806
P 5.597 1.914 10.535
P 5.633 7.221 8.654
P 5.314 5.959 0.153
P 5.594 3.033 5.020
H 1.291 12.047 15.004
H 1.733 10.418 18.075
H 1.081 8.311 2.664
H 2.107 11.600 17.065
H 1.869 8.420 4.660
H 1.858 1.046 2.170
H 1.782 8.901 0.194
H 2.921 3.955 18.921
H 2.627 7.988 2.838
H 3.267 8.872 5.218
H 3.152 0.667 2.914
H 3.431 6.894 0.840
H 4.358 5.970 18.099
H 4.637 12.197 16.025
H 4.523 3.992 13.721
H 5.163 4.875 16.102
H 4.868 8.909 0.019
H 6.007 3.963 18.746
H 5.932 11.818 16.770
H 5.920 4.444 14.279
H 5.682 1.263 1.874
H 6.708 4.552 16.276
H 6.056 2.446 0.865
H 6.498 0.816 3.935
O 1.110 6.243 18.613
O 1.080 10.904 14.091
O 0.969 4.840 10.894
O 0.870 1.336 7.549
O 1.350 3.235 15.603
O 0.977 6.041 5.911
O 1.955 5.676 15.391
O 1.956 8.571 14.804
O 1.702 7.600 2.932
O 2.201 9.371 12.418
O 2.044 5.607 8.732
O 2.459 10.789 17.485
O 1.669 0.111 0.622
O 2.156 7.108 10.792
O 1.813 4.292 1.257
O 2.201 9.718 9.348
O 2.069 3.816 6.428
O 2.229 2.615 9.226
O 2.727 7.864 17.620
O 2.210 4.736 4.058
O 2.282 8.935 5.404
O 2.705 4.124 13.584
O 2.447 1.395 2.886
O 3.630 5.736 18.708
O 3.552 10.443 14.317
O 3.460 4.897 10.677
O 3.777 3.947 15.896
O 3.385 1.265 7.430
O 3.424 5.876 6.070
O 4.365 6.988 12.870
O 4.404 11.599 11.510
O 4.013 8.916 3.044
O 4.329 7.967 8.263
O 4.237 2.421 4.623
O 4.159 7.128 0.232
O 5.343 11.469 16.054
O 5.084 8.740 5.356
O 5.507 3.929 13.535
O 5.579 8.128 14.881
O 5.062 5.000 1.320
O 5.560 10.248 9.714
O 5.720 9.048 12.512
O 5.588 3.145 9.592
O 5.976 8.572 17.682
O 5.633 5.756 8.148
O 6.120 12.752 18.318
O 5.330 2.075 1.454
O 5.745 7.257 10.207
O 5.588 3.493 6.522
O 6.087 5.263 16.007
O 5.833 4.293 4.136
O 5.834 7.188 3.549
O 6.812 6.823 13.029
O 6.439 9.629 3.337
O 6.919 11.528 11.390
O 6.820 8.023 8.046
O 6.709 1.960 4.849
O 6.679 6.621 0.327

---

No. 2
! CaPH2O6 | Materials Project | PBE | relaxed; values from VASP
! * crystal system: monoclinic
! * size of the total moment: 6.000 μB per cell
! * final energy: -5.848 eV per atom
! * SG: Cc (9)
! * E_form: -1.871 eV/atom
&SYSTEM
  ibrav = 0, nat = 20, ntyp = 4
/
ATOMIC_SPECIES
Ca 40.08 Ca.upf
P 30.97 P.upf
H 1.01 H.upf
O 16.00 O.upf
CELL_PARAMETERS angstrom
3.215 -7.649 0.000
3.215 7.649 0.000
-2.850 0.000 4.852
ATOMIC_POSITIONS angstrom
Ca 1.789 5.056 2.426
Ca 3.215 -5.056 0.000
P 0.431 2.634 4.803
P 1.856 -2.634 2.376
H 3.382 1.272 2.291
H 2.765 0.073 3.148
H 4.190 -0.073 0.722
H 1.957 -1.272 4.718
O -0.391 1.794 3.714
O 2.183 3.371 0.724
O 0.472 0.854 1.984
O -0.954 -0.854 4.411
O 1.435 3.567 4.136
O 1.034 -1.794 1.288
O 4.071 1.633 0.815
O 0.758 -3.371 3.150
'''

# Response
Density functional theory data (PBE) for a relaxed Cs2LiPrF6 crystal.

Cell: 6.443 6.443 6.443 Å, 60.00 60.00 60.00°
Atoms (fractional coordinates):
Cs1 0.750 0.750 0.750
Cs2 0.250 0.250 0.250
Li1 0.500 0.500 0.500
Pr1 0.000 0.000 0.000
F1 0.745 0.255 0.255
F2 0.255 0.255 0.745
F3 0.255 0.745 0.745
F4 0.255 0.745 0.255
F5 0.745 0.255 0.745
F6 0.745 0.745 0.255

Computed properties:
VASP energy = -52.3 eV per cell
Energy relative to the elements = -3.512 eV/atom

=====

No. 1
! Ca8P6H12O29 | Materials Project | PBE | relaxed; values from VASP
! * crystal system: triclinic
! * size of the total moment: 0.001 μB per cell
! * final energy: -6.491 eV per atom
! * SG: P-1 (2)
! * E_form: -2.622 eV/atom
&SYSTEM
  ibrav = 0, nat = 110, ntyp = 4
/
ATOMIC_SPECIES
Ca 40.08 Ca.upf
P 30.97 P.upf
H 1.01 H.upf
O 16.00 O.upf
CELL_PARAMETERS angstrom
6.879 0.000 0.000
0.020 9.666 0.000
0.890 3.197 18.940
ATOMIC_POSITIONS angstrom
Ca 0.418 3.900 8.130
Ca 0.339 5.562 2.535
Ca 2.176 6.714 13.315
Ca 2.194 2.850 11.641
Ca 2.169 7.553 7.421
Ca 2.108 1.776 5.315
Ca 4.071 9.307 16.434
Ca 3.921 8.827 10.828
Ca 3.868 4.037 8.112
Ca 3.718 3.556 2.506
Ca 5.682 11.088 13.624
Ca 5.620 5.311 11.518
Ca 5.595 10.013 7.299
Ca 5.613 6.150 5.625
Ca 7.450 7.301 16.405
Ca 7.371 8.963 10.810
P 2.195 9.831 13.919
P 2.476 6.905 18.787
P 2.156 5.642 10.286
P 2.192 10.950 8.405
P 2.493 4.259 15.134
P 2.170 5.115 5.545
P 5.619 7.749 13.395
P 5.296 8.604 3.806
P 5.597 1.914 10.535
P 5.633 7.221 8.654
P 5.314 5.959 0.153
P 5.594 3.033 5.020
H 1.291 12.047 15.004
H 1.733 10.418 18.075
H 1.081 8.311 2.664
H 2.107 11.600 17.065
H 1.869 8.420 4.660
H 1.858 1.046 2.170
H 1.782 8.901 0.194
H 2.921 3.955 18.921
H 2.627 7.988 2.838
H 3.267 8.872 5.218
H 3.152 0.667 2.914
H 3.431 6.894 0.840
H 4.358 5.970 18.099
H 4.637 12.197 16.025
H 4.523 3.992 13.721
H 5.163 4.875 16.102
H 4.868 8.909 0.019
H 6.007 3.963 18.746
H 5.932 11.818 16.770
H 5.920 4.444 14.279
H 5.682 1.263 1.874
H 6.708 4.552 16.276
H 6.056 2.446 0.865
H 6.498 0.816 3.935
O 1.110 6.243 18.613
O 1.080 10.904 14.091
O 0.969 4.840 10.894
O 0.870 1.336 7.549
O 1.350 3.235 15.603
O 0.977 6.041 5.911
O 1.955 5.676 15.391
O 1.956 8.571 14.804
O 1.702 7.600 2.932
O 2.201 9.371 12.418
O 2.044 5.607 8.732
O 2.459 10.789 17.485
O 1.669 0.111 0.622
O 2.156 7.108 10.792
O 1.813 4.292 1.257
O 2.201 9.718 9.348
O 2.069 3.816 6.428
O 2.229 2.615 9.226
O 2.727 7.864 17.620
O 2.210 4.736 4.058
O 2.282 8.935 5.404
O 2.705 4.124 13.584
O 2.447 1.395 2.886
O 3.630 5.736 18.708
O 3.552 10.443 14.317
O 3.460 4.897 10.677
O 3.777 3.947 15.896
O 3.385 1.265 7.430
O 3.424 5.876 6.070
O 4.365 6.988 12.870
O 4.404 11.599 11.510
O 4.013 8.916 3.044
O 4.329 7.967 8.263
O 4.237 2.421 4.623
O 4.159 7.128 0.232
O 5.343 11.469 16.054
O 5.084 8.740 5.356
O 5.507 3.929 13.535
O 5.579 8.128 14.881
O 5.062 5.000 1.320
O 5.560 10.248 9.714
O 5.720 9.048 12.512
O 5.588 3.145 9.592
O 5.976 8.572 17.682
O 5.633 5.756 8.148
O 6.120 12.752 18.318
O 5.330 2.075 1.454
O 5.745 7.257 10.207
O 5.588 3.493 6.522
O 6.087 5.263 16.007
O 5.833 4.293 4.136
O 5.834 7.188 3.549
O 6.812 6.823 13.029
O 6.439 9.629 3.337
O 6.919 11.528 11.390
O 6.820 8.023 8.046
O 6.709 1.960 4.849
O 6.679 6.621 0.327

---

No. 2
! CaPH2O6 | Materials Project | PBE | relaxed; values from VASP
! * crystal system: monoclinic
! * size of the total moment: 6.000 μB per cell
! * final energy: -5.848 eV per atom
! * SG: Cc (9)
! * E_form: -1.871 eV/atom
&SYSTEM
  ibrav = 0, nat = 20, ntyp = 4
/
ATOMIC_SPECIES
Ca 40.08 Ca.upf
P 30.97 P.upf
H 1.01 H.upf
O 16.00 O.upf
CELL_PARAMETERS angstrom
3.215 -7.649 0.000
3.215 7.649 0.000
-2.850 0.000 4.852
ATOMIC_POSITIONS angstrom
Ca 1.789 5.056 2.426
Ca 3.215 -5.056 0.000
P 0.431 2.634 4.803
P 1.856 -2.634 2.376
H 3.382 1.272 2.291
H 2.765 0.073 3.148
H 4.190 -0.073 0.722
H 1.957 -1.272 4.718
O -0.391 1.794 3.714
O 2.183 3.371 0.724
O 0.472 0.854 1.984
O -0.954 -0.854 4.411
O 1.435 3.567 4.136
O 1.034 -1.794 1.288
O 4.071 1.633 0.815
O 0.758 -3.371 3.150